_Input_
{
  "formula": "HoSc2Fe",
  "functional": "PBE",
  "state": "optimized geometry",
  "e_form_ev_per_atom": -0.056,
  "e_above_lowest_polymorph_ev_per_fu": 0.02,
  "spacegroup": "Cmcm",
  "lattice_angstrom": [[-2.0048, 0.7796, -2.8712], [0.2883, -5.9790, 0.4163], [-6.9707, 0.0029, 4.8680]],
  "species": ["Ho", "Fe", "Fe", "Sc", "Sc", "Sc", "Sc", "Ho"],
  "frac_coords": [[0.0733, 0.1463, 0.7500], [0.2520, 0.5046, 0.2500], [0.7480, 0.4954, 0.7500], [0.3516, 0.7032, 0.9315], [0.6484, 0.2968, 0.4315], [0.3516, 0.7032, 0.5685], [0.6484, 0.2968, 0.0685], [0.9267, 0.8537, 0.2500]]
}

~~~~~

[1]
{
  "formula": "Sb",
  "functional": "SCAN",
  "state": "single point on PBEsol structure",
  "cell": [[8.005, 0.000, 0.000], [0.000, 8.005, 0.000], [0.000, 0.000, 4.045]],
  "species": ["Sb", "Sb", "Sb", "Sb", "Sb", "Sb", "Sb", "Sb"],
  "fractional_positions": [[0.150, 0.350, 0.000], [0.150, 0.650, 0.500], [0.350, 0.150, 0.500], [0.350, 0.850, 0.000], [0.650, 0.150, 0.000], [0.650, 0.850, 0.500], [0.850, 0.350, 0.500], [0.850, 0.650, 0.000]],
  "relative_energy_ev_per_fu": 0.282,
  "raw_formation_energy_kj_per_mol_atoms": 27,
  "magmom_total_mub_per_fu": 0.0
}



[2]
{
  "formula": "BaV2CdO7",
  "functional": "SCAN",
  "state": "single point on PBEsol structure",
  "cell": [[15.367, 0.000, 0.000], [0.000, 5.684, 0.000], [0.000, 0.000, 7.425]],
  "species": ["Ba", "Ba", "Ba", "Ba", "V", "V", "V", "V", "V", "V", "V", "V", "Cd", "Cd", "Cd", "Cd", "O", "O", "O", "O", "O", "O", "O", "O", "O", "O", "O", "O", "O", "O", "O", "O", "O", "O", "O", "O", "O", "O", "O", "O", "O", "O", "O", "O"],
  "fractional_positions": [[0.213, 0.250, 0.140], [0.287, 0.750, 0.640], [0.713, 0.250, 0.360], [0.787, 0.750, 0.860], [0.060, 0.750, 0.301], [0.141, 0.250, 0.665], [0.359, 0.750, 0.165], [0.440, 0.250, 0.801], [0.560, 0.750, 0.199], [0.641, 0.250, 0.835], [0.859, 0.750, 0.335], [0.940, 0.250, 0.699], [0.051, 0.750, 0.883], [0.449, 0.250, 0.383], [0.551, 0.750, 0.617], [0.949, 0.250, 0.117], [0.035, 0.250, 0.561], [0.058, 0.508, 0.161], [0.058, 0.992, 0.161], [0.151, 0.010, 0.800], [0.151, 0.490, 0.800], [0.152, 0.750, 0.416], [0.223, 0.250, 0.518], [0.277, 0.750, 0.018], [0.348, 0.250, 0.916], [0.349, 0.510, 0.300], [0.349, 0.990, 0.300], [0.442, 0.008, 0.661], [0.442, 0.492, 0.661], [0.465, 0.750, 0.061], [0.535, 0.250, 0.939], [0.558, 0.508, 0.339], [0.558, 0.992, 0.339], [0.651, 0.010, 0.700], [0.651, 0.490, 0.700], [0.652, 0.750, 0.084], [0.723, 0.250, 0.982], [0.777, 0.750, 0.482], [0.848, 0.250, 0.584], [0.849, 0.510, 0.200], [0.849, 0.990, 0.200], [0.942, 0.008, 0.839], [0.942, 0.492, 0.839], [0.965, 0.750, 0.439]],
  "raw_formation_energy_kj_per_mol_atoms": -251,
  "magmom_total_mub_per_fu": 0.0
}



[3]
{
  "formula": "In2CoGeSe",
  "functional": "SCAN",
  "state": "single point on PBEsol structure",
  "cell": [[5.225, 0.000, 0.000], [0.000, 5.225, 0.000], [0.000, 0.000, 4.402]],
  "species": ["In", "In", "Co", "Ge", "Se"],
  "fractional_positions": [[0.000, 0.500, 0.000], [0.500, 0.000, 0.000], [0.000, 0.000, 0.500], [0.000, 0.000, 0.000], [0.500, 0.500, 0.500]],
  "raw_formation_energy_kj_per_mol_atoms": 35,
  "magmom_total_mub_per_fu": 2.0
}

~~~~~

1.
K2CdBi PBE-GGA optimized geometry; total magnetization = 0.03 μB/f.u.; energy relative to the elements = -153 meV per atom
1.0
-2.748 2.530 -0.872
-4.110 -3.292 3.401
1.495 3.371 5.069
K Bi Cd
2 1 1
direct
0.000 0.000 0.500
0.000 0.500 0.000
0.500 0.500 0.500
0.500 0.000 0.000

2.
Sr2In5Pd3 PBE-GGA optimized geometry; total magnetization = 0.00 μB/f.u.; energy relative to the elements = -554 meV per atom
1.0
6.294 0.000 0.000
3.147 8.906 0.310
3.147 1.680 8.751
Sr In Pd
4 10 6
direct
0.152 0.568 0.129
0.652 0.129 0.568
0.848 0.432 0.871
0.348 0.871 0.432
0.421 0.258 0.900
0.921 0.900 0.258
0.579 0.742 0.100
0.079 0.100 0.742
0.455 0.795 0.795
0.545 0.205 0.205
0.750 0.500 0.500
0.250 0.500 0.500
0.045 0.205 0.205
0.955 0.795 0.795
0.353 0.557 0.738
0.853 0.738 0.557
0.647 0.443 0.262
0.147 0.262 0.443
_Job_
Retype the listing above unchanged.
_Response_
{
  "formula": "HoSc2Fe",
  "functional": "PBE",
  "state": "optimized geometry",
  "e_form_ev_per_atom": -0.056,
  "e_above_lowest_polymorph_ev_per_fu": 0.02,
  "spacegroup": "Cmcm",
  "lattice_angstrom": [[-2.0048, 0.7796, -2.8712], [0.2883, -5.9790, 0.4163], [-6.9707, 0.0029, 4.8680]],
  "species": ["Ho", "Fe", "Fe", "Sc", "Sc", "Sc", "Sc", "Ho"],
  "frac_coords": [[0.0733, 0.1463, 0.7500], [0.2520, 0.5046, 0.2500], [0.7480, 0.4954, 0.7500], [0.3516, 0.7032, 0.9315], [0.6484, 0.2968, 0.4315], [0.3516, 0.7032, 0.5685], [0.6484, 0.2968, 0.0685], [0.9267, 0.8537, 0.2500]]
}

~~~~~

[1]
{
  "formula": "Sb",
  "functional": "SCAN",
  "state": "single point on PBEsol structure",
  "cell": [[8.005, 0.000, 0.000], [0.000, 8.005, 0.000], [0.000, 0.000, 4.045]],
  "species": ["Sb", "Sb", "Sb", "Sb", "Sb", "Sb", "Sb", "Sb"],
  "fractional_positions": [[0.150, 0.350, 0.000], [0.150, 0.650, 0.500], [0.350, 0.150, 0.500], [0.350, 0.850, 0.000], [0.650, 0.150, 0.000], [0.650, 0.850, 0.500], [0.850, 0.350, 0.500], [0.850, 0.650, 0.000]],
  "relative_energy_ev_per_fu": 0.282,
  "raw_formation_energy_kj_per_mol_atoms": 27,
  "magmom_total_mub_per_fu": 0.0
}



[2]
{
  "formula": "BaV2CdO7",
  "functional": "SCAN",
  "state": "single point on PBEsol structure",
  "cell": [[15.367, 0.000, 0.000], [0.000, 5.684, 0.000], [0.000, 0.000, 7.425]],
  "species": ["Ba", "Ba", "Ba", "Ba", "V", "V", "V", "V", "V", "V", "V", "V", "Cd", "Cd", "Cd", "Cd", "O", "O", "O", "O", "O", "O", "O", "O", "O", "O", "O", "O", "O", "O", "O", "O", "O", "O", "O", "O", "O", "O", "O", "O", "O", "O", "O", "O"],
  "fractional_positions": [[0.213, 0.250, 0.140], [0.287, 0.750, 0.640], [0.713, 0.250, 0.360], [0.787, 0.750, 0.860], [0.060, 0.750, 0.301], [0.141, 0.250, 0.665], [0.359, 0.750, 0.165], [0.440, 0.250, 0.801], [0.560, 0.750, 0.199], [0.641, 0.250, 0.835], [0.859, 0.750, 0.335], [0.940, 0.250, 0.699], [0.051, 0.750, 0.883], [0.449, 0.250, 0.383], [0.551, 0.750, 0.617], [0.949, 0.250, 0.117], [0.035, 0.250, 0.561], [0.058, 0.508, 0.161], [0.058, 0.992, 0.161], [0.151, 0.010, 0.800], [0.151, 0.490, 0.800], [0.152, 0.750, 0.416], [0.223, 0.250, 0.518], [0.277, 0.750, 0.018], [0.348, 0.250, 0.916], [0.349, 0.510, 0.300], [0.349, 0.990, 0.300], [0.442, 0.008, 0.661], [0.442, 0.492, 0.661], [0.465, 0.750, 0.061], [0.535, 0.250, 0.939], [0.558, 0.508, 0.339], [0.558, 0.992, 0.339], [0.651, 0.010, 0.700], [0.651, 0.490, 0.700], [0.652, 0.750, 0.084], [0.723, 0.250, 0.982], [0.777, 0.750, 0.482], [0.848, 0.250, 0.584], [0.849, 0.510, 0.200], [0.849, 0.990, 0.200], [0.942, 0.008, 0.839], [0.942, 0.492, 0.839], [0.965, 0.750, 0.439]],
  "raw_formation_energy_kj_per_mol_atoms": -251,
  "magmom_total_mub_per_fu": 0.0
}



[3]
{
  "formula": "In2CoGeSe",
  "functional": "SCAN",
  "state": "single point on PBEsol structure",
  "cell": [[5.225, 0.000, 0.000], [0.000, 5.225, 0.000], [0.000, 0.000, 4.402]],
  "species": ["In", "In", "Co", "Ge", "Se"],
  "fractional_positions": [[0.000, 0.500, 0.000], [0.500, 0.000, 0.000], [0.000, 0.000, 0.500], [0.000, 0.000, 0.000], [0.500, 0.500, 0.500]],
  "raw_formation_energy_kj_per_mol_atoms": 35,
  "magmom_total_mub_per_fu": 2.0
}

~~~~~

1.
K2CdBi PBE-GGA optimized geometry; total magnetization = 0.03 μB/f.u.; energy relative to the elements = -153 meV per atom
1.0
-2.748 2.530 -0.872
-4.110 -3.292 3.401
1.495 3.371 5.069
K Bi Cd
2 1 1
direct
0.000 0.000 0.500
0.000 0.500 0.000
0.500 0.500 0.500
0.500 0.000 0.000

2.
Sr2In5Pd3 PBE-GGA optimized geometry; total magnetization = 0.00 μB/f.u.; energy relative to the elements = -554 meV per atom
1.0
6.294 0.000 0.000
3.147 8.906 0.310
3.147 1.680 8.751
Sr In Pd
4 10 6
direct
0.152 0.568 0.129
0.652 0.129 0.568
0.848 0.432 0.871
0.348 0.871 0.432
0.421 0.258 0.900
0.921 0.900 0.258
0.579 0.742 0.100
0.079 0.100 0.742
0.455 0.795 0.795
0.545 0.205 0.205
0.750 0.500 0.500
0.250 0.500 0.500
0.045 0.205 0.205
0.955 0.795 0.795
0.353 0.557 0.738
0.853 0.738 0.557
0.647 0.443 0.262
0.147 0.262 0.443